Wanted:
Type out the calculation results further down from the first line to the one with "0.2462 0.0000" word for word.
Contents:
Record 1
# PBE GePb3O4, optimized geometry
data_GePb3O4
_chemical_formula_sum 'Ge2 Pb6 O8'
_cell_length_a 7.3336
_cell_length_b 7.3719
_cell_length_c 5.7178
_cell_angle_alpha 90.00
_cell_angle_beta 90.00
_cell_angle_gamma 90.00
_space_group_name_H-M_alt 'P m n 21'
_space_group_IT_number 31
loop_
_space_group_symop_operation_xyz
'x,y,z'
'-x+1/2,-y,z+1/2'
'-x,y,z'
'x+1/2,-y,z+1/2'
loop_
_atom_site_label
_atom_site_fract_x
_atom_site_fract_y
_atom_site_fract_z
Ge1 0.0000 0.1291 0.0000
Pb1 0.0000 0.8789 0.4643
Pb2 0.2494 0.6164 0.9865
O1 0.0000 0.1969 0.3086
O2 0.0000 0.8860 0.0332
O3 0.1938 0.2122 0.8496
# Crystal system   orthorhombic
# Spin magnetization   0.0 μB/f.u.
# DOS at the Fermi energy   0.170 states/eV/atom
# Raw formation energy   -1.06 eV/atom


Record 2
# PBE GePbO3, optimized geometry
data_GePbO3
_chemical_formula_sum 'Ge12 Pb12 O36'
_cell_length_a 11.6946
_cell_length_b 7.3809
_cell_length_c 13.5934
_cell_angle_alpha 90.00
_cell_angle_beta 118.91
_cell_angle_gamma 90.00
_space_group_name_H-M_alt 'P 1 2/c 1'
_space_group_IT_number 13
loop_
_space_group_symop_operation_xyz
'x,y,z'
'-x,-y,-z'
'-x,y,-z+1/2'
'x,-y,z+1/2'
loop_
_atom_site_label
_atom_site_fract_x
_atom_site_fract_y
_atom_site_fract_z
Ge1 0.0415 0.1296 0.1532
Ge2 0.2534 0.1680 0.5396
Ge3 0.3566 0.4071 0.3883
Pb1 0.0745 0.3763 0.6578
Pb2 0.3000 0.3137 0.0984
Pb3 0.3759 0.0380 0.8219
O1 0.0000 0.2401 0.2500
O2 0.1023 0.3074 0.1046
O3 0.1082 0.0390 0.4585
O4 0.1478 0.0544 0.7123
O5 0.2284 0.3680 0.5962
O6 0.2424 0.4202 0.8372
O7 0.3226 0.2100 0.4491
O8 0.3646 0.0198 0.6439
O9 0.3979 0.2866 0.2964
O10 0.5000 0.5000 0.0000
# Crystal system   monoclinic
# Spin magnetization   0.0 μB/f.u.
# DOS at the Fermi energy   0.000 states/eV/atom
# Raw formation energy   -1.50 eV/atom


Record 3
# PBE GePb4O6, optimized geometry
data_GePb4O6
_chemical_formula_sum 'Ge4 Pb16 O24'
_cell_length_a 10.5743
_cell_length_b 6.8636
_cell_length_c 12.6118
_cell_angle_alpha 90.00
_cell_angle_beta 106.74
_cell_angle_gamma 90.00
_space_group_name_H-M_alt 'C 1 c 1'
_space_group_IT_number 9
loop_
_space_group_symop_operation_xyz
'x,y,z'
'x,-y,z+1/2'
'x+1/2,y+1/2,z'
'x+1/2,-y+1/2,z+1/2'
loop_
_atom_site_label
_atom_site_fract_x
_atom_site_fract_y
_atom_site_fract_z
Ge1 0.0000 0.2462 0.0000
Pb1 0.0052 0.3352 0.7407
Pb2 0.1454 0.1571 0.2591
Pb3 0.2271 0.3293 0.5697
Pb4 0.3800 0.2341 0.9098
O1 0.0376 0.1238 0.8887
O2 0.0435 0.3803 0.3383
O3 0.1396 0.3633 0.0938
O4 0.2180 0.2622 0.7476
O5 0.3603 0.1006 0.4446
O6 0.4509 0.4158 0.5952
# Crystal system   monoclinic
# Spin magnetization   0.0 μB/f.u.
# DOS at the Fermi energy   0.000 states/eV/atom
# Raw formation energy   -1.25 eV/atom


Record 4
# PBE GePbO3, optimized geometry
data_GePbO3
_chemical_formula_sum 'Ge4 Pb4 O12'
_cell_length_a 7.1427
_cell_length_b 5.1733
_cell_length_c 10.2323
_cell_angle_alpha 90.00
_cell_angle_beta 115.84
_cell_angle_gamma 90.00
_space_group_name_H-M_alt 'P 1 21/c 1'
_space_group_IT_number 14
loop_
_space_group_symop_operation_xyz
'x,y,z'
'-x,-y,-z'
'-x,y+1/2,-z+1/2'
'x,-y+1/2,z+1/2'
loop_
_atom_site_label
_atom_site_fract_x
_atom_site_fract_y
_atom_site_fract_z
Ge1 0.0882 0.2467 0.0027
Pb1 0.2881 0.7168 0.3632
O1 0.0399 0.0490 0.1321
O2 0.1487 0.5612 0.1141
O3 0.3228 0.2035 0.9848
# Crystal system   monoclinic
# Spin magnetization   0.0 μB/f.u.
# DOS at the Fermi energy   0.000 states/eV/atom
# Raw formation energy   -1.44 eV/atom


Record 5
# PBE Ge4PbO9, optimized geometry
data_Ge4PbO9
_chemical_formula_sum 'Ge12 Pb3 O27'
_cell_length_a 11.5686
_cell_length_b 11.5686
_cell_length_c 4.8316
_cell_angle_alpha 90.00
_cell_angle_beta 90.00
_cell_angle_gamma 120.00
_space_group_name_H-M_alt 'P 3 2 1'
_space_group_IT_number 150
loop_
_space_group_symop_operation_xyz
'x,y,z'
'-y,x-y,z'
'-x+y,-x,z'
'y,x,-z'
'x-y,-y,-z'
'-x,-x+y,-z'
loop_
_atom_site_label
_atom_site_fract_x
_atom_site_fract_y
_atom_site_fract_z
Ge1 0.0000 0.0000 0.0000
Ge2 0.0000 0.1803 0.5000
Ge3 0.1494 0.4906 0.3998
Ge4 0.3333 0.6667 0.8910
Result:
Record 1
# PBE GePb3O4, optimized geometry
data_GePb3O4
_chemical_formula_sum 'Ge2 Pb6 O8'
_cell_length_a 7.3336
_cell_length_b 7.3719
_cell_length_c 5.7178
_cell_angle_alpha 90.00
_cell_angle_beta 90.00
_cell_angle_gamma 90.00
_space_group_name_H-M_alt 'P m n 21'
_space_group_IT_number 31
loop_
_space_group_symop_operation_xyz
'x,y,z'
'-x+1/2,-y,z+1/2'
'-x,y,z'
'x+1/2,-y,z+1/2'
loop_
_atom_site_label
_atom_site_fract_x
_atom_site_fract_y
_atom_site_fract_z
Ge1 0.0000 0.1291 0.0000
Pb1 0.0000 0.8789 0.4643
Pb2 0.2494 0.6164 0.9865
O1 0.0000 0.1969 0.3086
O2 0.0000 0.8860 0.0332
O3 0.1938 0.2122 0.8496
# Crystal system   orthorhombic
# Spin magnetization   0.0 μB/f.u.
# DOS at the Fermi energy   0.170 states/eV/atom
# Raw formation energy   -1.06 eV/atom


Record 2
# PBE GePbO3, optimized geometry
data_GePbO3
_chemical_formula_sum 'Ge12 Pb12 O36'
_cell_length_a 11.6946
_cell_length_b 7.3809
_cell_length_c 13.5934
_cell_angle_alpha 90.00
_cell_angle_beta 118.91
_cell_angle_gamma 90.00
_space_group_name_H-M_alt 'P 1 2/c 1'
_space_group_IT_number 13
loop_
_space_group_symop_operation_xyz
'x,y,z'
'-x,-y,-z'
'-x,y,-z+1/2'
'x,-y,z+1/2'
loop_
_atom_site_label
_atom_site_fract_x
_atom_site_fract_y
_atom_site_fract_z
Ge1 0.0415 0.1296 0.1532
Ge2 0.2534 0.1680 0.5396
Ge3 0.3566 0.4071 0.3883
Pb1 0.0745 0.3763 0.6578
Pb2 0.3000 0.3137 0.0984
Pb3 0.3759 0.0380 0.8219
O1 0.0000 0.2401 0.2500
O2 0.1023 0.3074 0.1046
O3 0.1082 0.0390 0.4585
O4 0.1478 0.0544 0.7123
O5 0.2284 0.3680 0.5962
O6 0.2424 0.4202 0.8372
O7 0.3226 0.2100 0.4491
O8 0.3646 0.0198 0.6439
O9 0.3979 0.2866 0.2964
O10 0.5000 0.5000 0.0000
# Crystal system   monoclinic
# Spin magnetization   0.0 μB/f.u.
# DOS at the Fermi energy   0.000 states/eV/atom
# Raw formation energy   -1.50 eV/atom


Record 3
# PBE GePb4O6, optimized geometry
data_GePb4O6
_chemical_formula_sum 'Ge4 Pb16 O24'
_cell_length_a 10.5743
_cell_length_b 6.8636
_cell_length_c 12.6118
_cell_angle_alpha 90.00
_cell_angle_beta 106.74
_cell_angle_gamma 90.00
_space_group_name_H-M_alt 'C 1 c 1'
_space_group_IT_number 9
loop_
_space_group_symop_operation_xyz
'x,y,z'
'x,-y,z+1/2'
'x+1/2,y+1/2,z'
'x+1/2,-y+1/2,z+1/2'
loop_
_atom_site_label
_atom_site_fract_x
_atom_site_fract_y
_atom_site_fract_z
Ge1 0.0000 0.2462 0.0000